Start at the top of the listing below and retype each line, ending with the one that has "Model ii:".

____________
Model i:
First-principles (PBE+U) data for crystalline BaErMn2O5 at its relaxed geometry, as listed in the Materials Project database.

It has space group P4/mmm (No. 123), with a = 3.9725 Å, b = 3.9725 Å, c = 7.7665 Å, α = 90.00°, β = 90.00° and γ = 90.00°. The asymmetric unit holds Ba at (0.0000, 0.0000, 0.0000), Er at (0.0000, 0.0000, 0.5000), Mn at (0.5000, 0.5000, 0.2529), O at (0.0000, 0.5000, 0.2547) and O at (0.5000, 0.5000, 0.5000).

---

Model ii:
First-principles (PBE+U) data for crystalline BaErMn2O5 at its relaxed geometry, as listed in the Materials Project database.

It has space group P4/nmm (No. 129, origin choice 2), with a = 5.6097 Å, b = 5.6097 Å, c = 7.8189 Å, α = 90.00°, β = 90.00° and γ = 90.00°. The asymmetric unit holds Ba at (0.2500, 0.7500, 0.0000), Er at (0.2500, 0.7500, 0.5000), Mn at (0.2500, 0.2500, 0.2586), Mn at (0.2500, 0.2500, 0.7235), O at (0.0060, 0.0060, 0.6779) and O at (0.2500, 0.2500, 0.9938).

---

Which is the most stable structure? model ii is the most stable.

----------

1.
{"formula": "Nb6PbS8", "functional": "PBE", "state": "relaxed", "energy_corrected_mp2020_ev_per_cell": -116.4, "magmom_total_mub_per_fu": 0.0, "lattice_angstrom": [[9.680, 0.000, 0.000], [-4.840, 8.384, 0.000], [0.000, 0.000, 3.421]], "species": ["Nb", "Nb", "Nb", "Nb", "Nb", "Nb", "Pb", "S", "S", "S", "S", "S", "S", "S", "S"], "fractional_positions": [[0.112, 0.625, 0.249], [0.375, 0.487, 0.249], [0.487, 0.112, 0.751], [0.513, 0.888, 0.249], [0.625, 0.513, 0.751], [0.888, 0.375, 0.751], [0.000, 0.000, 0.000], [0.055, 0.341, 0.252], [0.287, 0.945, 0.252], [0.333, 0.667, 0.749], [0.341, 0.287, 0.748], [0.659, 0.713, 0.252], [0.667, 0.333, 0.251], [0.713, 0.055, 0.748], [0.945, 0.659, 0.748]]}



2.
{"formula": "NbPbS2", "functional": "PBE", "state": "relaxed", "energy_corrected_mp2020_ev_per_cell": -53.2, "lattice_angstrom": [[3.393, 0.000, 0.000], [-1.697, 2.939, 0.000], [0.000, 0.000, 17.956]], "species": ["Nb", "Nb", "Pb", "Pb", "S", "S", "S", "S"], "fractional_positions": [[0.333, 0.667, 0.250], [0.667, 0.333, 0.750], [0.000, 0.000, 0.000], [0.000, 0.000, 0.500], [0.000, 0.000, 0.164], [0.000, 0.000, 0.336], [0.000, 0.000, 0.664], [0.000, 0.000, 0.836]]}



3.
{"formula": "Nb3PbS6", "functional": "PBE", "state": "relaxed", "energy_corrected_mp2020_ev_per_cell": -144.8, "lattice_angstrom": [[5.860, 0.000, 0.000], [-2.930, 5.075, 0.000], [0.000, 0.000, 14.988]], "species": ["Nb", "Nb", "Nb", "Nb", "Nb", "Nb", "Pb", "Pb", "S", "S", "S", "S", "S", "S", "S", "S", "S", "S", "S", "S"], "fractional_positions": [[0.000, 0.000, 0.250], [0.000, 0.000, 0.750], [0.333, 0.667, 0.250], [0.333, 0.667, 0.750], [0.667, 0.333, 0.250], [0.667, 0.333, 0.750], [0.000, 0.000, 0.000], [0.000, 0.000, 0.500], [0.000, 0.336, 0.146], [0.000, 0.336, 0.354], [0.000, 0.664, 0.646], [0.000, 0.664, 0.854], [0.336, 0.000, 0.146], [0.336, 0.000, 0.354], [0.336, 0.336, 0.646], [0.336, 0.336, 0.854], [0.664, 0.000, 0.646], [0.664, 0.000, 0.854], [0.664, 0.664, 0.146], [0.664, 0.664, 0.354]]}



4.
{"formula": "Nb5PbSe8", "functional": "PBE", "state": "relaxed", "energy_corrected_mp2020_ev_per_cell": -96.4, "magmom_total_mub_per_fu": 0.1, "lattice_angstrom": [[9.257, -1.753, 0.000], [9.257, 1.753, 0.000], [-2.160, 0.000, 9.186]], "species": ["Nb", "Nb", "Nb", "Nb", "Nb", "Pb", "Se", "Se", "Se", "Se", "Se", "Se", "Se", "Se"], "fractional_positions": [[0.000, 0.000, 0.000], [0.289, 0.289, 0.632], [0.359, 0.359, 0.003], [0.641, 0.641, 0.997], [0.711, 0.711, 0.368], [0.500, 0.500, 0.500], [0.085, 0.085, 0.807], [0.150, 0.150, 0.509], [0.239, 0.239, 0.161], [0.430, 0.430, 0.801], [0.570, 0.570, 0.199], [0.761, 0.761, 0.839], [0.850, 0.850, 0.491], [0.915, 0.915, 0.193]]}



5.
____________

Model i:
First-principles (PBE+U) data for crystalline BaErMn2O5 at its relaxed geometry, as listed in the Materials Project database.

It has space group P4/mmm (No. 123), with a = 3.9725 Å, b = 3.9725 Å, c = 7.7665 Å, α = 90.00°, β = 90.00° and γ = 90.00°. The asymmetric unit holds Ba at (0.0000, 0.0000, 0.0000), Er at (0.0000, 0.0000, 0.5000), Mn at (0.5000, 0.5000, 0.2529), O at (0.0000, 0.5000, 0.2547) and O at (0.5000, 0.5000, 0.5000).

---

Model ii: